== Material ==
C32H31F6KN10O2S | ωB97M-V/def2-TZVPD

CARTESIAN COORDINATES (ANGSTROEM)
K1 0.7011 0.0058 -0.3365
C1 -2.5773 -2.0116 1.1154
N1 -1.7421 -2.3108 2.2806
C2 -2.1282 -1.5755 3.4742
C3 -0.9414 -1.0311 4.1992
N2 0.2698 -1.4613 4.0808
C4 1.0332 -0.6469 4.9052
C5 2.4086 -0.6160 5.1029
C6 2.9153 0.3259 5.9831
C7 2.0749 1.2180 6.6628
C8 0.7030 1.2049 6.4667
C9 0.2057 0.2718 5.5683
N3 -1.0756 -0.0201 5.1308
C10 -2.0006 -2.6282 -0.1125
N4 -0.7594 -2.5511 -0.4552
C11 -0.6536 -3.1398 -1.7066
C12 0.4471 -3.2879 -2.5436
C13 0.2423 -3.8840 -3.7751
C14 -1.0229 -4.3438 -4.1669
C15 -2.1311 -4.2024 -3.3461
C16 -1.9257 -3.5770 -2.1222
N5 -2.7718 -3.2408 -1.0767
H1 -2.6789 -0.9448 0.8955
H2 -3.5823 -2.4097 1.2995
H3 -0.7643 -2.0975 2.0847
H4 -2.6728 -2.2361 4.1606
H5 -2.7982 -0.7377 3.2377
H6 3.0528 -1.2849 4.5435
H7 3.9862 0.3906 6.1358
H8 2.5104 1.9444 7.3391
H9 0.0532 1.9145 6.9655
H10 -1.8372 0.6348 5.1455
H11 1.4140 -2.9084 -2.2388
H12 1.0713 -3.9844 -4.4649
H13 -1.1396 -4.8024 -5.1420
H14 -3.1074 -4.5591 -3.6561
H15 -3.7614 -3.3855 -1.0279
N6 -0.9436 5.1093 1.1207
C17 -0.4881 3.8016 1.4181
S1 -1.6209 2.7952 2.2497
N7 0.7321 3.5928 1.0532
N8 1.2047 2.2949 1.1029
C18 2.4682 2.2445 1.2863
C19 3.3352 1.0700 1.2957
C20 4.7110 1.3087 1.1828
C21 5.6625 0.3050 1.1590
C22 5.2224 -1.0206 1.2769
C23 3.8856 -1.3039 1.4150
C24 2.8597 -0.2911 1.4397
O1 1.6463 -0.6087 1.5824
H16 -1.6316 5.4120 1.7896
H17 -0.1725 5.7543 1.0108
H18 2.9929 3.1967 1.4269
H19 5.0388 2.3409 1.0884
H20 6.7133 0.5391 1.0385
H21 5.9466 -1.8304 1.2684
H22 3.5410 -2.3279 1.5161
C25 0.6397 2.1283 -2.8774
C26 0.8766 0.6984 -3.4432
O2 0.8198 -0.2892 -2.5723
C27 -0.2020 0.4862 -4.5810
F1 -0.4722 1.5914 -5.3427
F2 -1.3824 0.1340 -4.0308
F3 0.1135 -0.4924 -5.4609
C28 2.2558 0.7420 -4.1864
F4 2.6453 -0.4554 -4.6633
F5 3.2306 1.1608 -3.3529
F6 2.2793 1.6000 -5.2544
H23 -0.3862 2.1887 -2.5095
H24 0.8059 2.9004 -3.6286
H25 1.3168 2.2929 -2.0355
C29 -4.4586 1.1094 -4.2889
N9 -3.8344 1.1513 -2.9861
C30 -3.3137 2.2548 -2.3473
C31 -2.8379 1.8135 -1.1449
N10 -3.0669 0.4629 -1.0309
C32 -3.6580 0.1028 -2.1453
H26 -4.2486 2.0369 -4.8153
H27 -5.5403 0.9893 -4.2008
H28 -4.0537 0.2815 -4.8699
H29 -3.3163 3.2303 -2.8070
H30 -2.3644 2.3686 -0.3457
H31 -3.9688 -0.9012 -2.4063

Summary:
- charge = -2
- orbital gap (eV) = 5.0
- highest occupied orbital energy (eV) = -1.1

Calculated atomic charges, method Mulliken, unit e: 1.55, -0.33, -0.38, -0.50, 0.34, -0.61, 0.62, -0.38, -0.61, -0.32, -1.03, 0.45, -0.11, 0.01, -0.38, 0.57, -0.64, -0.46, -0.44, -1.05, 0.51, 0.03, 0.46, 0.26, 0.27, 0.22, 0.28, 0.31, 0.36, 0.36, 0.35, 0.30, 0.26, 0.37, 0.34, 0.38, 0.22, -0.58, 0.23, -0.59, -1.27, 1.23, -0.96, 1.14, -0.59, -0.71, -0.41, -0.82, 0.25, -1.09, 0.21, 0.26, 0.12, 0.27, 0.36, 0.33, 0.43, -1.88, 1.39, -0.83, 0.09, -0.35, -0.04, -0.30, 0.51, -0.25, -0.26, -0.32, 0.21, 0.40, 0.44, -0.91, 0.27, -0.17, -0.52, -0.06, -0.58, 0.31, 0.32, 0.32, 0.40, 0.00, 0.41

C32H31N2O2 | ωB97M-V/def2-TZVPD

CARTESIAN COORDINATES (ANGSTROEM)
C1 6.5635 4.7440 -4.2894
N1 6.1098 5.3655 -3.0549
C2 6.6028 4.9651 -1.8120
H1 5.1227 3.7300 -1.1491
C3 7.8359 4.2340 -1.6606
C4 8.9307 5.0981 -1.8641
C5 10.2274 4.6134 -1.7895
C6 10.4839 3.2676 -1.5054
C7 11.9007 2.7405 -1.3994
C8 9.3823 2.4174 -1.3288
C9 8.0769 2.8808 -1.4411
N2 6.1779 5.9207 -0.8717
C10 6.6158 5.9048 0.5152
C11 5.8972 7.0759 -1.5959
C12 5.8647 6.7384 -2.9452
C13 5.8645 7.6880 -3.9235
C14 5.8269 9.0426 -3.5220
C15 5.8483 9.3824 -2.1545
C16 5.9125 8.3729 -1.1711
H2 6.2854 5.4033 -5.0933
H3 7.6497 4.5992 -4.3145
H4 6.0676 3.7797 -4.4019
H5 8.8031 6.1419 -2.0866
H6 11.0817 5.2699 -1.9455
H7 11.8956 1.6752 -1.1475
H8 12.4482 2.8634 -2.3395
H9 12.4698 3.2696 -0.6286
H10 9.5689 1.3615 -1.1013
H11 7.2229 2.2049 -1.3689
H12 6.3589 6.8641 0.9400
H13 6.0866 5.0996 1.0322
H14 7.6970 5.7448 0.6080
H15 5.8818 7.4319 -4.9875
H16 5.7830 9.8597 -4.2731
H17 5.8189 10.4533 -1.8675
H18 5.9642 8.6287 -0.1103
C17 -4.3653 4.4999 0.1856
O1 -3.4677 4.4089 -0.9445
C18 -2.2022 3.9402 -0.7602

== To do ==
Could you echo the whole of the block further above character by character?

== Reply ==
C32H31F6KN10O2S | ωB97M-V/def2-TZVPD

CARTESIAN COORDINATES (ANGSTROEM)
K1 0.7011 0.0058 -0.3365
C1 -2.5773 -2.0116 1.1154
N1 -1.7421 -2.3108 2.2806
C2 -2.1282 -1.5755 3.4742
C3 -0.9414 -1.0311 4.1992
N2 0.2698 -1.4613 4.0808
C4 1.0332 -0.6469 4.9052
C5 2.4086 -0.6160 5.1029
C6 2.9153 0.3259 5.9831
C7 2.0749 1.2180 6.6628
C8 0.7030 1.2049 6.4667
C9 0.2057 0.2718 5.5683
N3 -1.0756 -0.0201 5.1308
C10 -2.0006 -2.6282 -0.1125
N4 -0.7594 -2.5511 -0.4552
C11 -0.6536 -3.1398 -1.7066
C12 0.4471 -3.2879 -2.5436
C13 0.2423 -3.8840 -3.7751
C14 -1.0229 -4.3438 -4.1669
C15 -2.1311 -4.2024 -3.3461
C16 -1.9257 -3.5770 -2.1222
N5 -2.7718 -3.2408 -1.0767
H1 -2.6789 -0.9448 0.8955
H2 -3.5823 -2.4097 1.2995
H3 -0.7643 -2.0975 2.0847
H4 -2.6728 -2.2361 4.1606
H5 -2.7982 -0.7377 3.2377
H6 3.0528 -1.2849 4.5435
H7 3.9862 0.3906 6.1358
H8 2.5104 1.9444 7.3391
H9 0.0532 1.9145 6.9655
H10 -1.8372 0.6348 5.1455
H11 1.4140 -2.9084 -2.2388
H12 1.0713 -3.9844 -4.4649
H13 -1.1396 -4.8024 -5.1420
H14 -3.1074 -4.5591 -3.6561
H15 -3.7614 -3.3855 -1.0279
N6 -0.9436 5.1093 1.1207
C17 -0.4881 3.8016 1.4181
S1 -1.6209 2.7952 2.2497
N7 0.7321 3.5928 1.0532
N8 1.2047 2.2949 1.1029
C18 2.4682 2.2445 1.2863
C19 3.3352 1.0700 1.2957
C20 4.7110 1.3087 1.1828
C21 5.6625 0.3050 1.1590
C22 5.2224 -1.0206 1.2769
C23 3.8856 -1.3039 1.4150
C24 2.8597 -0.2911 1.4397
O1 1.6463 -0.6087 1.5824
H16 -1.6316 5.4120 1.7896
H17 -0.1725 5.7543 1.0108
H18 2.9929 3.1967 1.4269
H19 5.0388 2.3409 1.0884
H20 6.7133 0.5391 1.0385
H21 5.9466 -1.8304 1.2684
H22 3.5410 -2.3279 1.5161
C25 0.6397 2.1283 -2.8774
C26 0.8766 0.6984 -3.4432
O2 0.8198 -0.2892 -2.5723
C27 -0.2020 0.4862 -4.5810
F1 -0.4722 1.5914 -5.3427
F2 -1.3824 0.1340 -4.0308
F3 0.1135 -0.4924 -5.4609
C28 2.2558 0.7420 -4.1864
F4 2.6453 -0.4554 -4.6633
F5 3.2306 1.1608 -3.3529
F6 2.2793 1.6000 -5.2544
H23 -0.3862 2.1887 -2.5095
H24 0.8059 2.9004 -3.6286
H25 1.3168 2.2929 -2.0355
C29 -4.4586 1.1094 -4.2889
N9 -3.8344 1.1513 -2.9861
C30 -3.3137 2.2548 -2.3473
C31 -2.8379 1.8135 -1.1449
N10 -3.0669 0.4629 -1.0309
C32 -3.6580 0.1028 -2.1453
H26 -4.2486 2.0369 -4.8153
H27 -5.5403 0.9893 -4.2008
H28 -4.0537 0.2815 -4.8699
H29 -3.3163 3.2303 -2.8070
H30 -2.3644 2.3686 -0.3457
H31 -3.9688 -0.9012 -2.4063

Summary:
- charge = -2
- orbital gap (eV) = 5.0
- highest occupied orbital energy (eV) = -1.1

Calculated atomic charges, method Mulliken, unit e: 1.55, -0.33, -0.38, -0.50, 0.34, -0.61, 0.62, -0.38, -0.61, -0.32, -1.03, 0.45, -0.11, 0.01, -0.38, 0.57, -0.64, -0.46, -0.44, -1.05, 0.51, 0.03, 0.46, 0.26, 0.27, 0.22, 0.28, 0.31, 0.36, 0.36, 0.35, 0.30, 0.26, 0.37, 0.34, 0.38, 0.22, -0.58, 0.23, -0.59, -1.27, 1.23, -0.96, 1.14, -0.59, -0.71, -0.41, -0.82, 0.25, -1.09, 0.21, 0.26, 0.12, 0.27, 0.36, 0.33, 0.43, -1.88, 1.39, -0.83, 0.09, -0.35, -0.04, -0.30, 0.51, -0.25, -0.26, -0.32, 0.21, 0.40, 0.44, -0.91, 0.27, -0.17, -0.52, -0.06, -0.58, 0.31, 0.32, 0.32, 0.40, 0.00, 0.41

C32H31N2O2 | ωB97M-V/def2-TZVPD

CARTESIAN COORDINATES (ANGSTROEM)
C1 6.5635 4.7440 -4.2894
N1 6.1098 5.3655 -3.0549
C2 6.6028 4.9651 -1.8120
H1 5.1227 3.7300 -1.1491
C3 7.8359 4.2340 -1.6606
C4 8.9307 5.0981 -1.8641
C5 10.2274 4.6134 -1.7895
C6 10.4839 3.2676 -1.5054
C7 11.9007 2.7405 -1.3994
C8 9.3823 2.4174 -1.3288
C9 8.0769 2.8808 -1.4411
N2 6.1779 5.9207 -0.8717
C10 6.6158 5.9048 0.5152
C11 5.8972 7.0759 -1.5959
C12 5.8647 6.7384 -2.9452
C13 5.8645 7.6880 -3.9235
C14 5.8269 9.0426 -3.5220
C15 5.8483 9.3824 -2.1545
C16 5.9125 8.3729 -1.1711
H2 6.2854 5.4033 -5.0933
H3 7.6497 4.5992 -4.3145
H4 6.0676 3.7797 -4.4019
H5 8.8031 6.1419 -2.0866
H6 11.0817 5.2699 -1.9455
H7 11.8956 1.6752 -1.1475
H8 12.4482 2.8634 -2.3395
H9 12.4698 3.2696 -0.6286
H10 9.5689 1.3615 -1.1013
H11 7.2229 2.2049 -1.3689
H12 6.3589 6.8641 0.9400
H13 6.0866 5.0996 1.0322
H14 7.6970 5.7448 0.6080
H15 5.8818 7.4319 -4.9875
H16 5.7830 9.8597 -4.2731
H17 5.8189 10.4533 -1.8675
H18 5.9642 8.6287 -0.1103
C17 -4.3653 4.4999 0.1856
O1 -3.4677 4.4089 -0.9445
C18 -2.2022 3.9402 -0.7602